### Assignment
Search the entries below for the word "V1" and duplicate each line that has it, please.

### Given
********
# Li2MnV3O8
Simulated powder X-ray diffraction pattern, λ = 1.5418 Å (Cu Kα). Input: a PBE+U-relaxed structure.

Structural model:
```
data_Li2MnV3O8
_chemical_formula_sum 'Li4 Mn2 V6 O16'
_symmetry_space_group_name_H-M 'C 1 m 1'
_symmetry_Int_Tables_number 8
_cell_length_a 12.1020
_cell_length_b 4.0016
_cell_length_c 6.6374
_cell_angle_alpha 90.00
_cell_angle_beta 106.35
_cell_angle_gamma 90.00
loop_
_symmetry_equiv_pos_as_xyz
'x,y,z'
'x,-y,z'
'x+1/2,y+1/2,z'
'x+1/2,-y+1/2,z'
loop_
_atom_site_label
_atom_site_type_symbol
_atom_site_fract_x
_atom_site_fract_y
_atom_site_fract_z
Li1 Li 0.0000 0.0000 0.0000
Li2 Li 0.1213 0.0000 0.7219
Mn1 Mn 0.3516 0.0000 0.0625
V1 V 0.1714 0.5000 0.0859
V2 V 0.2731 0.5000 0.6670
V3 V 0.4542 0.0000 0.6402
O1 O 0.0024 0.5000 0.9948
O2 O 0.1244 0.5000 0.7251
O3 O 0.1814 0.0000 0.0400
O4 O 0.2122 0.5000 0.3542
O5 O 0.2909 0.0000 0.6842
O6 O 0.3284 0.5000 0.0078
O7 O 0.4272 0.0000 0.3778
O8 O 0.4447 0.5000 0.6841
```

Largest 8 diffraction maxima, in order of falling intensity, 10 to 80 degrees two-theta:
2θ (°), I (rel.), h k l
23.51, 100.0, 1 1 0
13.90, 70.9, 0 0 1
28.02, 67.6, 0 0 2
45.32, 58.7, 0 2 0
15.26, 53.7, 2 0 0
44.95, 48.6, 6 0 -1
42.58, 40.4, 0 0 3
32.40, 35.6, 3 1 -1

----------

Structure and calculated XRD peak list of V2PbF8 (a crystal structure in Alexandria, relaxed with PBE+U; a wavelength of 1.5418 Å).

The 8 most intense peaks (10° ≤ 2θ ≤ 90°), by intensity:
(hkl)	d [Å]	I_rel
1 1 0	3.559	100
0 1 1	3.391	97
1 0 0	6.164	68
1 2 1	2.021	42
0 2 1	2.455	39
1 1 1	2.676	39
2 2 0	1.779	28
1 0 2	1.928	27

Structural model:
```
V2PbF8
1.0
7.118 0.000 0.000
-3.559 6.164 0.000
0.000 0.000 4.060
V Pb F
2 1 8
Cartesian
0.000 4.109 1.131 V
3.559 2.055 2.929 V
0.000 0.000 0.000 Pb
-1.636 5.042 1.091 F
0.011 2.227 1.091 F
0.000 4.109 3.144 F
1.934 1.104 2.969 F
1.625 5.060 1.091 F
********

### Reply
V1 V 0.1714 0.5000 0.0859